Stronghold Crusader 2 Review

Misplaced calculated crystals:
<<<
# FeAuBr

FeAuBr after structural relaxation (PBE, Alexandria via LeMat-Bulk).

Lattice parameters (Å, degrees): 4.4709 4.4709 4.4709 60.00 60.00 60.00
Closest atoms and distances in Å follow each position.
Positions (direct):
1 Au 0.0000 0.0000 0.0000  4 Fe 2.74
2 Br 0.5000 0.5000 0.5000  4 Fe 2.74
3 Fe 0.2500 0.2500 0.2500  4 Br 2.74, 4 Au 2.74

magnetization: 3.3 μB/f.u.
formation energy without anion corrections: 1.47 eV/f.u.
E: -11.944 eV/f.u.
SG: F-43m, No. 216
energy above the lowest structure with this stoichiometry: 0.92 eV/f.u.
calculated volume: 63.20 Å³/f.u.


# FeAuBr2

FeAuBr2 after structural relaxation (PBE, Alexandria via LeMat-Bulk).

Lattice parameters (Å, degrees): 4.9228 4.9228 4.9228 60.00 60.00 60.00
Closest atoms and distances in Å follow each position.
Positions (direct):
1 Au 0.5000 0.5000 0.5000  8 Br 3.01
2 Fe 0.0000 0.0000 0.0000  8 Br 3.01
3 Br 0.2500 0.2500 0.2500  4 Fe 3.01, 4 Au 3.01
4 Br 0.7500 0.7500 0.7500  4 Au 3.01, 4 Fe 3.01

magnetization: 3.1 μB/f.u.
formation energy without anion corrections: 2.09 eV/f.u.
E: -12.994 eV/f.u.
SG: Fm-3m, No. 225
energy above the lowest structure with this stoichiometry: 2.13 eV/f.u.
calculated volume: 84.36 Å³/f.u.


# FeAu2Br

FeAu2Br after structural relaxation (PBE, Alexandria via LeMat-Bulk).

Lattice parameters (Å, degrees): 3.2709 4.3357 5.6719 90.00 90.00 90.00
Closest atoms and distances in Å follow each position.
Positions (direct):
1 Au 0.0000 0.0000 0.0000  4 Au 2.72
2 Au 0.5000 0.5000 0.0000  4 Au 2.72
3 Br 0.5000 0.0000 0.5000  4 Fe 2.72
4 Fe 0.0000 0.5000 0.5000  4 Br 2.72

magnetization: 3.5 μB/f.u.
formation energy without anion corrections: 1.82 eV/f.u.
E: -14.871 eV/f.u.
SG: Pmmm, No. 47
energy above the lowest structure with this stoichiometry: 1.27 eV/f.u.
calculated volume: 80.44 Å³/f.u.


# FeAuBr2

FeAuBr2 after structural relaxation (PBE, Alexandria via LeMat-Bulk).

Lattice parameters (Å, degrees): 3.8095 6.5436 3.8624 90.00 90.00 90.00
Closest atoms and distances in Å follow each position.
Positions (direct):
1 Au 0.0000 0.5000 0.5000  4 Br 2.71
2 Br 0.0000 0.0000 0.0000  4 Fe 2.71
3 Br 0.5000 0.5000 0.0000  4 Au 2.71
4 Fe 0.5000 0.0000 0.5000  4 Br 2.71

magnetization: 3.4 μB/f.u.
formation energy without anion corrections: 1.65 eV/f.u.
E: -13.433 eV/f.u.
SG: Pmmm, No. 47
energy above the lowest structure with this stoichiometry: 1.69 eV/f.u.
calculated volume: 96.28 Å³/f.u.


# FeAu2Br

FeAu2Br after structural relaxation (PBE, Alexandria via LeMat-Bulk).

Lattice parameters (Å, degrees): 9.0927 9.0927 9.0927 20.60 20.60 20.60
Closest atoms and distances in Å follow each position.
Positions (direct):
1 Au 0.0106 0.0106 0.0106  3 Fe 2.66, 3 Au 2.84
2 Au 0.2638 0.2638 0.2638  3 Au 2.84
3 Br 0.4775 0.4775 0.4775  3 Fe 2.52
4 Fe 0.7480 0.7480 0.7480  3 Br 2.52, 3 Au 2.66

magnetization: 3.5 μB/f.u.
formation energy without anion corrections: 0.77 eV/f.u.
E: -15.920 eV/f.u.
SG: R3m, No. 160
>>>

I wondered how good Stronghold Crusader II actually was, since it didn't get as much negative buzz around it unlike pretty much any Stronghold title that are not the 2001 original or the first Crusader from 2002. It was really cheap on GOG recently, so I decided to give it a go. Mind you, these are my impressions based on about 6 hours of play, and a lot of singleplayer experience in the first two games in the series (but not the “bad” ones much), so there might be more to it than what I have presently experienced.Even taking into consideration the fact that Crusader II was the first mainline title FireFly published on their own, and that they tried to have a Gambitious crowdfunding project fund a part of the game but failed, the game shows corners being cut in many aspects. Animations are 2003-level stiff, physics are poor and clipping issues happen everywhere, LOD range is pathetic, the iconic lord messages are amateurishly rendered (hey, remember the Bink video format? FireFly does) and annoying, the scribe's responses are inexplicably scarce where they would previously tell you every bit of information on time, not seeing a single visual glitch in a match is more an exception than a rule, and there is even a strange distortion affecting the sand surface when scrolling and zooming for some reason. Even learning campaign missions are comparatively more punishing than those of pretty much the entire first halves of Stronghold 1 and Crusader 1 campaigns.

**Between two parts of the article: calculated crystals**
____________
1:
VASP calculation (PBE) on a geometry-optimized Na2Pt2W structure.

Cell lengths 6.511, 6.511, 4.954 Å; angles 90.00, 90.00, 90.00 degrees
Fractional coordinates of all 10 atoms:
Na 0.173 0.327 0.000
Na 0.327 0.827 0.000
Na 0.673 0.173 0.000
Na 0.827 0.673 0.000
Pt 0.139 0.639 0.500
Pt 0.361 0.139 0.500
Pt 0.639 0.861 0.500
Pt 0.861 0.361 0.500
W 0.000 0.000 0.500
W 0.500 0.500 0.500


2:
VASP calculation (PBE) on a geometry-optimized Na2Pt2W structure.

Cell lengths 3.452, 3.452, 14.802 Å; angles 90.00, 90.00, 90.00 degrees
Fractional coordinates of all 10 atoms:
Na 0.000 0.500 0.250
Na 0.000 0.500 0.750
Na 0.500 0.000 0.250
Na 0.500 0.000 0.750
Pt 0.000 0.000 0.090
Pt 0.000 0.000 0.910
Pt 0.500 0.500 0.410
Pt 0.500 0.500 0.590
W 0.000 0.000 0.500
W 0.500 0.500 0.000


Which structure is most stable, and how do the rest compare? From most to least stable: 1, 2.


1:
VASP calculation (PBE) on a geometry-optimized Na2PtW structure.

Cell lengths 8.615, 8.615, 5.049 Å; angles 90.00, 90.00, 90.00 degrees
Fractional coordinates of all 16 atoms:
Na 0.199 0.250 0.125
Na 0.250 0.699 0.375
Na 0.250 0.801 0.875
Na 0.301 0.250 0.625
Na 0.699 0.750 0.625
Na 0.750 0.199 0.875
Na 0.750 0.301 0.375
Na 0.801 0.750 0.125
Pt 0.000 0.000 0.000
Pt 0.000 0.500 0.250
Pt 0.500 0.000 0.750
Pt 0.500 0.500 0.500
W 0.000 0.000 0.500
W 0.000 0.500 0.750
W 0.500 0.000 0.250
W 0.500 0.500 0.000


2:
VASP calculation (PBE) on a geometry-optimized Na2PtW structure.

Cell lengths 6.778, 6.778, 6.778 Å; angles 90.00, 90.00, 90.00 degrees
Fractional coordinates of all 16 atoms:
Na 0.250 0.250 0.250
Na 0.250 0.250 0.750
Na 0.250 0.750 0.250
Na 0.250 0.750 0.750
Na 0.750 0.250 0.250
Na 0.750 0.250 0.750
Na 0.750 0.750 0.250
Na 0.750 0.750 0.750
Pt 0.000 0.000 0.000
Pt 0.000 0.500 0.500
Pt 0.500 0.000 0.500
Pt 0.500 0.500 0.000
W 0.000 0.000 0.500
W 0.000 0.500 0.000
W 0.500 0.000 0.000
W 0.500 0.500 0.500


Which structure is most stable, and how do the rest compare? From most to least stable: 1, 2.


1:
VASP calculation (PBE) on a geometry-optimized Na3YPt structure.

Cell lengths 6.037, 6.037, 6.037 Å; angles 90.00, 90.00, 90.00 degrees
Fractional coordinates of all 5 atoms:
Na 0.000 0.000 0.500
Na 0.000 0.500 0.000
Na 0.500 0.000 0.000
Y 0.000 0.000 0.000
Pt 0.500 0.500 0.500


2:
VASP calculation (PBE) on a geometry-optimized Na3YPt structure.

Cell lengths 5.374, 5.374, 5.374 Å; angles 90.00, 90.00, 90.00 degrees
Fractional coordinates of all 5 atoms:
Na 0.000 0.000 0.500
Na 0.000 0.500 0.000
Na 0.500 0.000 0.000
Y 0.500 0.500 0.500
Pt 0.000 0.000 0.000


Which structure is most stable, and how do the rest compare? From most to least stable: 2, 1.


1:
VASP calculation (PBE) on a geometry-optimized NaY3Pt structure.

Cell lengths 5.296, 5.296, 5.296 Å; angles 90.00, 90.00, 90.00 degrees
Fractional coordinates of all 5 atoms:
Na 0.000 0.000 0.000
Y 0.000 0.000 0.500
Y 0.000 0.500 0.000
Y 0.500 0.000 0.000
Pt 0.500 0.500 0.500


2:
____________
**End of the calculated crystals**


Sep 22, 2014  STRONGHOLD CRUSADER 2 VERDICT. For old, war-tested Stronghold players Crusader 2 is a triumphant evolution of the game that they’ve held dear for the last twelve years. For the rest of us though, there is perhaps no better time to see what all the fuss is about.

Inserted here: materials data:
Record 1
Material: Np4As6Pd5
Method: DFT, PBE
State: relaxed

Calculated values
The formation energy is -0.5511 eV/atom. Its total energy is -7.593 eV per atom. The value obtained for the volume is 297 Å³/f.u.

Lattice parameters (Å, degrees): 9.8733 9.8733 14.8477 90.00 90.00 155.75
Element x y z (fractional)
Np: 0.0123 0.9877 0.5000
Np: 0.0331 0.9669 0.7740
Np: 0.1642 0.8358 0.3020
Np: 0.1810 0.8190 0.9417
Np: 0.8190 0.1810 0.4417
Np: 0.8358 0.1642 0.8020
Np: 0.9669 0.0331 0.2740
Np: 0.9877 0.0123 0.0000
As: 0.1151 0.8849 0.1150
As: 0.2231 0.7769 0.4840
As: 0.2360 0.7640 0.7634
As: 0.4201 0.5799 0.4135
As: 0.4296 0.5704 0.1281
As: 0.4360 0.5640 0.8538
As: 0.5640 0.4360 0.3538
As: 0.5704 0.4296 0.6281
As: 0.5799 0.4201 0.9135
As: 0.7640 0.2360 0.2634
As: 0.7769 0.2231 0.9840
As: 0.8849 0.1151 0.6150
Pd: 0.1515 0.8485 0.6292
Pd: 0.3033 0.6967 0.6183
Pd: 0.3447 0.6553 0.2714
Pd: 0.3537 0.6463 0.9836
Pd: 0.4447 0.5553 0.6768
Pd: 0.5553 0.4447 0.1768
Pd: 0.6463 0.3537 0.4836
Pd: 0.6553 0.3447 0.7714
Pd: 0.6967 0.3033 0.1183
Pd: 0.8485 0.1515 0.1292



Record 2
Material: NpAs3Pd5
Method: DFT, PBE
State: relaxed

Calculated values
The formation energy is -0.3732 eV/atom. Its total energy is -6.246 eV per atom. The value obtained for the volume is 165 Å³/f.u.

Lattice parameters (Å, degrees): 7.0013 7.0013 12.2985 90.00 90.00 146.83
Element x y z (fractional)
Np: 0.1170 0.8830 0.7500
Np: 0.8830 0.1170 0.2500
As: 0.1290 0.8710 0.2500
As: 0.3886 0.6114 0.0658
As: 0.3886 0.6114 0.4342
As: 0.6114 0.3886 0.5658
As: 0.6114 0.3886 0.9342
As: 0.8710 0.1290 0.7500
Pd: 0.0000 0.0000 0.0000
Pd: 0.0000 0.0000 0.5000
Pd: 0.2080 0.7920 0.0678
Pd: 0.2080 0.7920 0.4322
Pd: 0.4280 0.5720 0.6391
Pd: 0.4280 0.5720 0.8609
Pd: 0.5720 0.4280 0.1391
Pd: 0.5720 0.4280 0.3609
Pd: 0.7920 0.2080 0.5678
Pd: 0.7920 0.2080 0.9322



Record 3
Material: NpAs2Pd2
Method: DFT, PBE
State: relaxed

Calculated values
The formation energy is -0.4648 eV/atom. Its total energy is -6.990 eV per atom. The calculation puts the energy above the most stable polymorph in this dataset at 0 meV per atom. The value obtained for the volume is 94 Å³/f.u.

Lattice parameters (Å, degrees): 6.2712 6.2689 4.1056 70.92 70.86 38.22
Element x y z (fractional)
Np: 0.0000 0.0000 0.0000
As: 0.3866 0.3866 0.6134
As: 0.6134 0.6134 0.3866
Pd: 0.2500 0.2500 0.2500
Pd: 0.7500 0.7500 0.7500



Record 4
Material: Np3As4Pd7
Method: DFT, PBE
State: relaxed

Calculated values
The formation energy is -0.5411 eV/atom. Its total energy is -7.239 eV per atom. The value obtained for the volume is 256 Å³/f.u.

Lattice parameters (Å, degrees): 8.0768 8.0768 9.7125 123.85 123.85 29.60
Element x y z (fractional)
Np: 0.0000 0.0000 0.0000
Np: 0.3168 0.3168 0.3203
Np: 0.6832 0.6832 0.6797
As: 0.1063 0.1063 0.8232
As: 0.3451 0.3451 0.7557
As: 0.6549 0.6549 0.2443
As: 0.8937 0.8937 0.1768
Pd: 0.0000 0.0000 0.5000
Pd: 0.1678 0.1678 0.4371
Pd: 0.3122 0.3122 0.9831
Pd: 0.4856 0.4856 0.6957
Pd: 0.5144 0.5144 0.3043
The materials data stop here:

Also, peasants don't speak their minds when clicked on anymore, which makes the game lose a lot of its charm.All things considered, it's still satisfying to fill up the area around your keep with all these various buildings.And I did not even reach the worst part. Compared to its 2002 predecessor, the economy has been drastically changed. Walls are more expensive than before, ending up in far longer castle construction time, which is contradictory to Stronghold's original idea as a castle simulation married with an RTS formula. The most effective food production system, the one around bread, is now incredibly more expensive to create, as the cost of a single mill has been cranked tenfold and has one operator instead of 3, while wheat farms and bakeries are also harder to build! Sure, this makes the food production lines more viable, but going from one extreme to another is not really how balancing is done properly. Resources can be bought and sold directly from the stockpile/granary/armoury, so the market is now a 500-gold decoration that “generates gold” and has a not-that-useful auto-sell feature. Superfighters download. Hovels have smaller capacity depending on the distance from your keep, and churches/mosques need candles to work, which were changes ported from Stronghold 3.

Estates from Stronghold 2 also make a sort-of return. The fear factor system is completely removed, as are all customization options except for the player's shield and the Crusader/Arabian lord appearance toggle. At least you can choose your color in skirmishes and multiplayer now.Thankfully, for all these steps back, there are steps forward. Firstly, the UI is probably the best one so far in the series, since it can be configured to show no, some, or all resources in the top left, so you don't need to scroll back to your stockpile/granary/armoury to see how your economy is doing.

The same goes for the popularity meter, which can now be expanded at will to manage food and ale rations, tax levels, and worship frequency. Then, we finally have the ability to transport iron by ox tethers, which is was frustratingly not possible in the originals, and the much-needed ability to repair buildings and walls instead of just replacing them for full price, which especially comes as a good trade-off for the increased wall prices.William knows that before doing any physical activity, including waging war, you need to do a good stretch.Then there is the subject of units. I've seen some complaints on how the changes in this aspect have been made – some completely new units were added while others were removed. To that I can only reply – well, no shit. Other RTS titles, in particular the Command & Conquer series, have done this exact thing long before Crusader II did, and that did not diminish the overall unit variety or gameplay.

On the contrary, both the Crusader and Arabian armies now have quite a few interesting options with their new units. Crusaders got cheaper swordsmen and more varied and apparently sturdier late-game heavy infantry as well as the versatile Rangers that are both ranged and melee fighters, and the weak Conscripts, which need no weapon production and are easy to spam. Likewise, the Arabian forces have replaced some of their useless units (Slingers, anyone?) with really cheeky oil pot throwers and the admittedly situational whirling dervishes. Slave drivers are a new unit that buffs the existing cannon fodder slave unit, and healers are a most welcome (if really slowly working) addition. Crusader Spearmen (now called Men-at-Arms for some reason) are semi-ranged in the sense that they first shoot their spears at range, and then proceed in a knife fight for a while, not unlike antic Roman legionaries, but they can't seem to miss their spear shots. At least Horse Archers are no longer OP.Engineers are no longer separate units, and since oil pot throwers do the same as old engineers with oil pots in the originals, they can now only be seen hauling siege engines.

Now, these siege engines have also been altered and I don't think I like the way they did that.